Story written by Seymour Topping.
Across the United States, celebrations have been in progress this year under what is termed the Campfires Initiative, marking the centennial of the Pulitzer Prize awards in American journalism and the arts.
The Pulitzer Prize Board cites the initiative as intended to inspire “new generations to value high-quality arts, letters and journalism, to use Pulitzer Prize-winning work to explore questions and issues relevant to our times and to use the social media and other interactive technology to deepen the impact of Pulitzer Prize works on the cultural landscape.” Forty-six state humanitarian councils are engaged under the initiative in Pulitzer-themed projects. Participants include media organizations, schools, historical societies, libraries and other groups as well as teachers. The origin of the Pulitzers contains a history lesson out of the workings of American democracy.
The Pulitzer Prizes program was established at Columbia University by a bequest in the 1904 will of Joseph Pulitzer, an American born in Mako, Hungary, in 1847, the son of a wealthy grain merchant of Magyar-Jewish origin and a German mother. He was educated as a teenager in Budapest in private schools and by tutors. Restive at age 17 and seeking adventure as a soldier, he traveled to Hamburg, Germany, where he met a bounty recruiter for the U.S. Union Army and contracted to enlist.
== Between two parts of the entry: calculated crystals ==
- - -
Record 1
LiPCl2 | PBE | optimized geometry

Unit cell a=3.814 b=3.814 c=8.815 alpha=90.00 beta=90.00 gamma=114.27
Atoms (fractional coordinates):
Cl (0.000, 0.000, 0.938)
Cl (0.500, 0.500, 0.335)
Li (0.000, 0.000, 0.399)
P (0.500, 0.500, 0.828)

## Properties
* uncorrected formation energy: -354 meV per atom
* volume: 29.2 Å³/atom
* excess energy over the best structure of this formula in the dataset: 305 meV per atom

***

Record 2
Ce5Si2Pd | PBE | optimized geometry

Unit cell a=6.523 b=6.524 c=6.238 alpha=121.53 beta=121.52 gamma=90.00
Atoms (fractional coordinates):
Ce (0.741, 0.212, 0.953)
Ce (0.212, 0.212, 0.953)
Ce (0.741, 0.741, 0.953)
Ce (0.212, 0.741, 0.953)
Ce (0.661, 0.661, 0.323)
Si (0.226, 0.726, 0.452)
Si (0.726, 0.226, 0.452)
Pd (0.258, 0.258, 0.517)

## Properties
* uncorrected formation energy: -424 meV per atom
* volume: 22.3 Å³/atom

***

Record 3
TbDy2GaC | PBE | optimized geometry

Unit cell a=4.890 b=4.860 c=4.860 alpha=90.00 beta=90.00 gamma=90.00
Atoms (fractional coordinates):
Tb (0.500, 0.000, 0.000)
Dy (0.000, 0.000, 0.500)
Dy (0.000, 0.500, 0.000)
Ga (0.500, 0.500, 0.500)
C (0.000, 0.000, 0.000)

## Properties
* volume: 23.1 Å³/atom
* E_form: -0.439 eV per atom

***

Record 4
Ce2PrP | PBE | optimized geometry

Unit cell a=3.786 b=3.786 c=10.156 alpha=79.26 beta=79.26 gamma=60.00
Atoms (fractional coordinates):
Pr (0.000, 0.000, 0.000)
P (0.500, 0.500, 0.500)
Ce (0.109, 0.109, 0.672)
Ce (0.891, 0.891, 0.328)

## Properties
* volume: 30.8 Å³/atom
* E_form: -0.446 eV per atom
* excess energy over the best structure of this formula in the dataset: 140 meV per atom

***

Record 5
YFe3Os | PBE | optimized geometry

Unit cell a=4.598 b=4.598 c=4.598 alpha=90.00 beta=90.00 gamma=90.00
Atoms (fractional coordinates):
Y (0.500, 0.500, 0.500)
Os (0.000, 0.000, 0.000)
Fe (0.000, 0.500, 0.000)
Fe (0.000, 0.000, 0.500)
Fe (0.500, 0.000, 0.000)

## Properties
* volume: 19.4 Å³/atom
* E_form: 0.811 eV per atom

***

Record 6
Pr3Nd2 | PBE | optimized geometry

Unit cell a=7.701 b=9.750 c=9.750 alpha=90.00 beta=90.00 gamma=90.00
Atoms (fractional coordinates):
Pr (0.250, 0.000, 0.500)
Pr (0.750, 0.000, 0.500)
Pr (0.250, 0.500, 0.000)
Pr (0.750, 0.500, 0.000)
Pr (0.000, 0.329, 0.329)
Pr (0.000, 0.671, 0.671)
Pr (0.500, 0.171, 0.829)
Pr (0.500, 0.829, 0.171)
Pr (0.000, 0.172, 0.828)
Pr (0.000, 0.828, 0.172)
Pr (0.500, 0.672, 0.672)
Pr (0.500, 0.328, 0.328)
Nd (0.249, 0.128, 0.128)
Nd (0.249, 0.872, 0.872)
Nd (0.749, 0.372, 0.628)
Nd (0.749, 0.628, 0.372)
Nd (0.251, 0.372, 0.628)
Nd (0.251, 0.628, 0.372)
Nd (0.751, 0.128, 0.128)
Nd (0.751, 0.872, 0.872)

## Properties
* volume: 36.6 Å³/atom
* E_form: 0.102 eV per atom
- - -
Eluding the bounty escort, he jumped ship in Boston Harbor and decided to enlist for a year in the Lincoln Cavalry. Thereafter, he made his way to St. Louis, where after laboring at odd jobs — studying English and the law in a library in his free time — he got a job as a newspaper reporter. Enjoying extraordinary success in journalism mixed in with business dealings, he vaulted into the role of newspaper publisher at the age of 25. He eventually came into ownership of the St. Louis Post-Dispatch and the New York World. Pulitzer managed to maintain the closest editorial and business direction of his newspapers for years despite becoming severely ill and virtually blind. He died aboard his yacht, the Liberty, in 1911.
A year later, the Columbia Journalism School was founded, with the first Pulitzer Prizes awarded in 1917 under the supervision of an independent advisory board made up of distinguished journalists and academics as specified by the Pulitzer mandate. The president of Columbia and the dean of the J School serve on the board. The guiding Pulitzer creed is framed in bronze on the wall at the entrance of the school. It states: “Our Republic and its press will rise or fall together. An able, disinterested, public-spirited press, with trained intelligence to know the right and courage to do it, can preserve that public virtue without which popular government is a sham and a mockery. A cynical, mercenary, demogogic press will produce in time a people as base as itself. The power to mold the future of the Republic will be in the hands of the journalists of future generations.”
Next April, the Pulitzer process will enter its second century as the board gathers in the Pulitzer Hall World Room of the Columbia J School to select winners in 14 journalism and seven arts categories. Typically, more than 2,400 entries are made in the competitions. Under the supervision of the administrator, juries in each of the 21 categories make three nominations to the board. In prior weeks, the board would have read the texts of the journalism entries and the 15 nominated books, listened to recordings of the nominated music, read the scripts of the nominated plays and attended performances or seen videos where possible.
The winners are then notified secretly, prior to a press announcement and a subsequent formal award ceremony. The careers of the winners will thus have been transformed and their works become quality examples for the next generations.
Seymour Topping, former managing editor of The New York Times, served as administrator of the Pulitzer Prizes from 1993 to 2002.